[1]
The following is a DFT calculation (the ωB97M-V functional and the def2-TZVPD basis) of a molecular structure, C57H51Cl3N4O6SSn.

```
123
Properties=species:S:1:pos:R:3
Sn -0.754 0.869 0.575
C -5.344 1.741 -3.826
C -3.894 1.840 -4.282
N -3.029 2.411 -3.249
C -2.911 3.868 -3.250
C -1.739 4.380 -4.087
C -2.387 1.600 -2.383
S -1.146 2.397 -1.442
N -2.670 0.322 -2.471
C -2.347 -0.720 -1.719
O -1.870 -0.742 -0.557
C -2.697 -2.047 -2.310
C -3.576 -2.149 -3.384
C -3.929 -3.391 -3.886
C -3.407 -4.544 -3.314
C -2.537 -4.449 -2.237
C -2.185 -3.206 -1.737
H -5.943 1.238 -4.586
H -5.768 2.731 -3.650
H -5.403 1.170 -2.899
H -3.808 2.473 -5.167
H -3.512 0.852 -4.520
H -2.797 4.210 -2.223
H -3.848 4.260 -3.646
H -0.795 4.093 -3.627
H -1.787 5.469 -4.136
H -1.774 3.981 -5.102
H -3.993 -1.247 -3.809
H -4.616 -3.463 -4.720
H -3.681 -5.517 -3.704
H -2.135 -5.348 -1.788
H -1.500 -3.130 -0.903
C 4.515 -3.638 0.692
C 3.100 -3.164 0.968
C 2.313 -4.249 1.708
O 2.439 -2.845 -0.250
C 1.624 -1.694 -0.064
C 1.950 -1.269 1.393
O 3.147 -1.964 1.694
C 2.001 0.190 1.909
O 0.698 0.661 2.107
C 2.921 1.138 1.143
C 2.488 2.409 0.786
C 3.335 3.291 0.130
C 4.645 2.930 -0.138
C 5.101 1.679 0.251
C 4.243 0.786 0.876
C 2.520 0.059 3.384
C 3.667 0.684 3.860
C 4.092 0.474 5.170
C 3.360 -0.330 6.026
C 2.180 -0.907 5.575
C 1.759 -0.704 4.271
C 1.634 -0.656 -1.209
O 0.906 0.446 -0.725
C 0.951 -1.267 -2.466
C 0.268 -0.401 -3.316
C -0.357 -0.865 -4.464
C -0.290 -2.211 -4.797
C 0.408 -3.078 -3.972
C 1.017 -2.616 -2.810
C 2.990 -0.187 -1.771
C 3.034 1.071 -2.369
C 4.176 1.507 -3.022
C 5.309 0.708 -3.065
C 5.279 -0.540 -2.460
C 4.122 -0.996 -1.843
H 4.509 -4.315 -0.161
H 4.899 -4.159 1.568
H 5.157 -2.784 0.478
H 2.470 -5.206 1.210
H 1.244 -4.027 1.702
H 2.663 -4.310 2.739
H 0.565 -2.004 -0.075
H 1.142 -1.708 1.988
H 1.473 2.711 1.013
H 2.967 4.267 -0.167
H 5.305 3.613 -0.658
H 6.127 1.393 0.061
H 4.603 -0.186 1.181
H 4.250 1.328 3.220
H 5.005 0.945 5.514
H 3.697 -0.498 7.042
H 1.581 -1.516 6.243
H 0.821 -1.135 3.944
H 0.217 0.648 -3.060
H -0.887 -0.164 -5.099
H -0.771 -2.583 -5.693
H 0.486 -4.125 -4.240
H 1.558 -3.307 -2.180
H 2.164 1.712 -2.302
H 4.182 2.478 -3.504
H 6.210 1.057 -3.556
H 6.158 -1.175 -2.475
H 4.105 -1.986 -1.420
Cl -5.908 1.671 0.888
C -4.728 2.361 1.946
C -5.138 3.107 3.058
C -4.214 3.659 3.903
Cl -4.753 4.637 5.234
C -2.831 3.462 3.685
C -1.810 3.947 4.532
C -0.502 3.678 4.242
C -0.191 2.899 3.115
N -1.118 2.461 2.284
C -2.428 2.739 2.542
C -3.385 2.189 1.622
O -2.954 1.566 0.592
H -6.195 3.238 3.248
H -2.084 4.515 5.411
H 0.295 4.043 4.873
H 0.824 2.610 2.900
Cl -4.922 -1.067 4.921
C -3.545 -1.550 4.000
C -2.990 -2.807 4.158
C -1.900 -3.140 3.368
C -1.424 -2.209 2.463
N -1.942 -0.988 2.340
C -2.988 -0.662 3.093
H -3.403 -3.503 4.876
H -1.429 -4.109 3.453
H -0.596 -2.446 1.805
H -3.405 0.329 2.972
```

Computed properties:
HOMO-LUMO gap = 0.25879 Ha
HOMO level = -7.748 eV
Energy above the lowest of the compared OMol25 structures with the same formula, charge and spin = 40.07 kcal/mol
Lowest unoccupied orbital energy = -0.71 eV

Mulliken population analysis, charges in e, atoms 1 to 6: Sn 1.545; C -1.249; C -0.487; N 0.349; C -0.944; C -0.986


[2]
The following is a DFT calculation (the ωB97M-V functional and the def2-TZVPD basis) of a molecular structure, C57H51CoN3O5P2Si.

```
120
Properties=species:S:1:pos:R:3
Co -0.548 -0.660 0.557
O 4.074 -5.195 2.067
C 2.973 -5.545 1.611
O 2.541 -6.633 1.212
C 1.960 -4.375 1.486
C 2.165 -3.194 2.195
C 1.310 -2.132 1.978
N 0.313 -2.233 1.095
C 0.090 -3.359 0.412
C 0.889 -4.470 0.604
C -1.032 -3.191 -0.538
C -1.643 -4.214 -1.243
C -2.711 -3.907 -2.072
C -3.134 -2.589 -2.176
C -2.472 -1.618 -1.444
N -1.454 -1.912 -0.646
C 1.394 -0.769 2.548
C 2.246 -0.393 3.572
C 2.262 0.935 3.975
C 1.422 1.844 3.350
C 0.573 1.389 2.353
N 0.560 0.120 1.965
H 3.031 -3.128 2.840
H 0.744 -5.401 0.072
H -1.291 -5.229 -1.128
H -3.211 -4.690 -2.627
H -3.966 -2.314 -2.808
H -2.741 -0.572 -1.476
H 2.879 -1.131 4.043
H 2.919 1.254 4.773
What is needed: find "5.575" and "-4.240" in the material above, and quote these two lines and those between.
C 2.180 -0.907 5.575
C 1.759 -0.704 4.271
C 1.634 -0.656 -1.209
O 0.906 0.446 -0.725
C 0.951 -1.267 -2.466
C 0.268 -0.401 -3.316
C -0.357 -0.865 -4.464
C -0.290 -2.211 -4.797
C 0.408 -3.078 -3.972
C 1.017 -2.616 -2.810
C 2.990 -0.187 -1.771
C 3.034 1.071 -2.369
C 4.176 1.507 -3.022
C 5.309 0.708 -3.065
C 5.279 -0.540 -2.460
C 4.122 -0.996 -1.843
H 4.509 -4.315 -0.161
H 4.899 -4.159 1.568
H 5.157 -2.784 0.478
H 2.470 -5.206 1.210
H 1.244 -4.027 1.702
H 2.663 -4.310 2.739
H 0.565 -2.004 -0.075
H 1.142 -1.708 1.988
H 1.473 2.711 1.013
H 2.967 4.267 -0.167
H 5.305 3.613 -0.658
H 6.127 1.393 0.061
H 4.603 -0.186 1.181
H 4.250 1.328 3.220
H 5.005 0.945 5.514
H 3.697 -0.498 7.042
H 1.581 -1.516 6.243
H 0.821 -1.135 3.944
H 0.217 0.648 -3.060
H -0.887 -0.164 -5.099
H -0.771 -2.583 -5.693
H 0.486 -4.125 -4.240